Assignment:
Work out how many lines further down have the word "O3" in them; a number is enough.

Material:
+++
Entry from Alexandria: Ag3BO3 after structural relaxation (GGA-PBE).

## Properties
E above lowest polymorph: 68.1 meV per atom
Energy relative to the elements, uncorrected: -0.83 eV/atom

abc: 6.5110 11.2715 5.7889
angles: 90.00 90.00 90.00
Last column: nearest neighbours and their distance in Å.
Space group Cmcm (No. 63)
Inequivalent atoms, fractional coordinates:
Ag 0.0000 0.1669 0.2500 x4  2 O 2.17
Ag 0.2475 0.4163 0.2500 x8  2 O 2.18
B 0.0000 0.3327 0.7500 x4  3 O 1.38
O 0.0000 0.2102 0.7500 x4  1 B 1.38
O 0.1835 0.3941 0.7500 x8  1 B 1.38


Entry from Alexandria: Cd2AgHg after structural relaxation (GGA-PBE).

## Properties
E_form: 0.0003 eV per atom

abc: 3.0656 3.0656 32.2499
angles: 90.00 90.00 120.00
Last column: nearest neighbours and their distance in Å.
Space group R-3m (No. 166, hexagonal axes)
Inequivalent atoms, fractional coordinates:
Cd 0.0000 0.0000 0.2425 x6  3 Ag 3.02, 6 Cd 3.07
Ag 0.0000 0.0000 0.5000 x3  6 Cd 3.02, 6 Ag 3.07
Hg 0.0000 0.0000 0.0000 x3  6 Hg 3.07, 6 Cd 3.42


Entry from Alexandria: La2TlBSb after structural relaxation (GGA-PBE).

## Properties
Energy relative to the elements, uncorrected: 1.20 eV/atom

abc: 6.0294 6.0294 5.4480
angles: 90.00 90.00 90.00
Last column: nearest neighbours and their distance in Å.
Space group P4/mmm (No. 123)
Inequivalent atoms, fractional coordinates:
La 0.0000 0.5000 0.0000 x2  2 Tl 3.01
Tl 0.0000 0.0000 0.0000 x1  2 Sb 2.72, 4 La 3.01
B 0.5000 0.5000 0.5000 x1  8 La 4.06, 4 Sb 4.26
Sb 0.0000 0.0000 0.5000 x1  2 Tl 2.72


| no. | calculated volume (Å³ per atom) |
| --- | --- |
| 1 | 15.17 |
| 2 | 21.87 |
| 3 | 39.61 |


# GGA+U KZrVO5, relaxed
data_KZrVO5
_space_group_name_H-M_alt 'C 1 2/c 1'
_space_group_IT_number 15
_cell_length_a 7.3813
_cell_length_b 9.6361
_cell_length_c 7.7948
_cell_angle_alpha 90.00
_cell_angle_beta 114.90
_cell_angle_gamma 90.00
loop_
_space_group_symop_operation_xyz
'x,y,z'
'-x,-y,-z'
'-x,y,-z+1/2'
'x,-y,z+1/2'
'x+1/2,y+1/2,z'
'-x+1/2,-y+1/2,-z'
'-x+1/2,y+1/2,-z+1/2'
'x+1/2,-y+1/2,z+1/2'
loop_
_atom_site_label
_atom_site_fract_x
_atom_site_fract_y
_atom_site_fract_z
K1 0.0000 0.1723 0.2500
Zr1 0.0000 0.5000 0.0000
V1 0.0000 0.1841 0.7500
O1 0.0000 0.4399 0.2500
O2 0.0824 0.2908 0.6147
O3 0.1923 0.0751 0.8949
# **Theoretical density**: 3.45 g cm⁻³
# **VASP energy**: -7.721 eV/atom


[1]
Computed, not measured: LiSmTl2F6 after structural relaxation at the GGA-PBE level of DFT.

The space group is Cm (No. 8) and the conventional cell measures 8.7611, 8.7581 and 6.1984 Å, with angles of 90.00, 134.91 and 90.00 degrees. The inequivalent atoms are Li at (0.0000, 0.0000, 0.0000), Sm at (0.0000, 0.5000, 0.0000), Tl at (0.0003, 0.2495, 0.5007), F at (0.2423, 0.0000, 0.9989), F at (0.2432, 0.0000, 0.4867), F at (0.2571, 0.5000, 0.0000), F at (0.2566, 0.5000, 0.5131) and F at (0.4995, 0.2572, 0.9993).

The formation energy (no corrections) comes out at -278.7 kJ/mol of atoms. The electronic total energy comes out at -102.959 eV/cell. The calculation puts the calculated volume at 336.84 Å³/cell. For the density of states at the Fermi level, the calculation gives 0.000 states/eV/atom.


[2]
Computed, not measured: RbSnCl2 after structural relaxation at the GGA-PBE level of DFT.

The space group is R-3m (No. 166, hexagonal axes) and the conventional cell measures 4.1354, 4.1354 and 28.9635 Å, with angles of 90.00, 90.00 and 120.00 degrees. The inequivalent atoms are Rb at (0.0000, 0.0000, 0.0000), Sn at (0.0000, 0.0000, 0.5000) and Cl at (0.0000, 0.0000, 0.4066).

The formation energy (no corrections) comes out at -103.7 kJ/mol of atoms. As for the distance to the lowest polymorph of the same formula: 0 meV per atom. The electronic total energy comes out at -38.886 eV/cell. The calculation puts the calculated volume at 428.95 Å³/cell. For the density of states at the Fermi level, the calculation gives 0.209 states/eV/atom.


[3]
Computed, not measured: TiTlRh2 after structural relaxation at the GGA-PBE level of DFT.
+++

Worked solution:
1